_Excerpt_
┌──
Record 1
Formula: C7H10ClLuN
Source: OMol25
Level of theory: wB97M-V/def2-TZVPD

Geometry as XYZ:
```
20
Properties=species:S:1:pos:R:3:forces:R:3
C -1.10158 -0.59343 -1.13870 0.70 -0.30 -0.04
C 1.15917 -0.68620 -1.58764 -0.58 -0.71 -0.39
H -0.09980 1.03899 -2.30305 0.12 -0.05 0.17
H -2.68832 0.82279 0.96706 -0.32 -0.30 0.55
H -1.20915 -2.62661 -0.21360 0.19 0.36 0.27
H 0.18768 1.52182 2.21266 -3.24 0.71 0.01
C 0.79831 -1.87298 -0.86759 -0.33 0.72 -0.64
Lu 0.72393 0.25268 0.71469 1.27 -1.53 -2.69
C -0.60138 -1.81387 -0.60297 0.20 0.57 -0.42
C -0.01498 0.11582 -1.74121 0.08 -0.97 0.15
H 1.43990 -2.73137 -0.68319 -0.06 0.35 0.14
N 3.30737 1.24092 -0.78865 -1.68 1.19 1.86
C -0.85892 1.53886 1.55721 6.07 2.92 -0.26
H 3.03229 2.21333 -0.38548 0.65 -1.18 -0.80
Cl 0.52177 -0.86637 2.78789 0.70 -1.35 1.42
H 2.14273 -0.46706 -1.98249 -0.16 0.13 0.25
H -0.49375 2.19137 0.69311 -1.77 -0.16 0.65
C -1.97467 0.79195 1.78611 -2.00 -1.15 0.94
H -2.14498 -0.30879 -1.17339 0.14 0.10 0.21
H -2.12562 0.23815 2.74924 0.02 0.66 -1.36
```
Forces are in eV/Å.

Calculated values
ΔE to the lowest compared entry with this formula, charge and spin   523.9 kJ/mol
Orbital gap (spin up / spin down)   7.484 / 5.057 eV
E_LUMO (spin up / spin down)   3.267 / 3.434 eV
Net charge   -1

Mulliken atomic charge list, values in e, 8 entries:
1. C -0.41
2. C -0.57
3. H 0.43
4. H 0.33
5. H 0.37
6. H 0.15
7. C -0.69
8. Lu 0.99

***

Record 2
Formula: C45H126N4O20
Source: OMol25
Level of theory: wB97M-V/def2-TZVPD

Geometry as XYZ:
```
195
Properties=species:S:1:pos:R:3:forces:R:3
H 0.30955 6.93770 6.34547 -0.17 -0.28 0.10
H 0.74613 7.92163 3.64893 -0.40 0.61 -0.36
O -4.37060 1.62792 -5.37620 0.82 -0.58 -0.27
C -6.55915 2.95480 -2.40623 0.34 -0.08 1.72
H -4.83417 2.23597 -4.79571 -0.34 -0.16 0.22
H -3.65369 7.76231 4.60495 0.01 -0.61 0.06
H 0.01860 8.43210 5.52497 -0.08 0.14 -0.10
H 5.48739 -3.01803 5.34189 0.12 0.05 0.12
C 5.18211 -1.38729 3.99451 1.41 -0.30 -0.64
H 2.51372 -4.61632 -0.27309 0.35 -0.52 0.39
O -2.98302 -4.29641 -0.14480 -0.19 -0.75 -0.91
C 0.12018 -7.26521 -0.34843 -1.40 0.34 -0.54
H 4.27358 -3.80014 2.74838 -0.25 -0.14 -0.46
H 6.32923 0.28873 4.87241 0.24 0.06 -0.51
H -6.98125 1.64777 -3.84028 -0.15 0.06 0.40
H -1.43050 0.59757 4.76423 0.18 0.00 0.32
O -3.88403 -1.75996 0.88449 -0.23 -0.31 0.05
H -3.01514 5.38607 6.08817 -0.22 0.26 -0.53
H 0.14365 -4.65918 -3.98991 0.10 -0.33 -0.25
H -2.19048 -4.40938 0.37993 0.21 0.31 0.42
H 0.11337 0.59812 -7.56071 0.03 -0.12 0.18
H -1.20432 -0.64226 -3.33668 -0.21 0.34 0.03
O 4.73534 -0.67368 -2.21846 0.13 -0.56 -0.60
C 0.58315 7.17794 2.86889 1.19 0.32 1.36
H -1.33840 -0.46647 0.93363 -0.12 0.84 -1.34
C 0.51286 2.24613 -0.89226 -0.38 -0.15 -0.35
H -1.30937 -2.68434 1.83197 0.11 1.00 0.03
H -5.28948 -0.19551 -5.62076 0.47 -0.42 -0.32
H 4.87075 -1.61281 -2.07250 0.18 0.05 0.16
H -2.80890 9.46820 2.97859 -0.60 -0.43 -0.07
H 4.06691 0.90815 -1.11399 -0.16 -0.13 -0.10
H 5.65454 0.32998 -0.70828 -0.02 -0.25 0.51
H 0.89390 5.12357 -0.66170 -0.08 -0.05 0.18
H 1.14734 3.39478 -4.62967 0.18 -0.44 -0.30
C -0.48008 7.64406 6.08926 0.08 0.64 -1.04
H 0.66158 0.46443 0.36361 0.39 0.03 0.15
H -3.27639 -4.56385 -4.92500 -0.26 -0.11 -0.12
H -1.56466 -1.56041 -7.30098 -0.06 -0.59 -0.49
H 3.44583 -7.41565 0.27938 -0.03 0.47 -0.19
O 3.66839 0.32885 4.66175 -0.38 1.88 0.23
C -2.63467 8.12214 4.74715 0.17 -0.02 -1.33
H -3.16092 3.11340 -2.10267 0.08 0.16 -0.11
C 0.69799 0.70536 -0.69880 -0.80 1.14 -0.82
H 3.45351 0.26757 5.59538 0.00 0.95 0.25
C -3.22104 2.10382 0.21503 0.59 -1.07 -0.21
N 3.83977 -0.98682 4.42028 -0.20 -3.33 -0.03
H -1.04712 -2.18106 -1.16132 -0.05 -0.37 0.42
H -7.37842 3.56411 -2.02459 -0.89 -0.50 -0.48
H -1.58833 5.67927 6.96323 -0.05 0.13 0.32
C 2.65057 -1.68997 3.91909 -0.78 -0.64 -1.06
H 1.37703 -1.46313 5.75247 0.24 -0.01 0.06
H 1.64660 0.42597 -1.15724 0.10 -0.26 0.22
C 1.47038 -6.59431 -0.52504 1.11 -0.46 0.50
H -5.50361 -3.49304 -1.87479 -0.37 -0.04 0.49
H 2.10531 -6.12709 -4.71746 0.22 -0.35 -0.55
└──

_Request_
Could you echo only the last part of the rows further up, starting with the line that has "-0.16 0.65"?

_Done_
H -0.49375 2.19137 0.69311 -1.77 -0.16 0.65
C -1.97467 0.79195 1.78611 -2.00 -1.15 0.94
H -2.14498 -0.30879 -1.17339 0.14 0.10 0.21
H -2.12562 0.23815 2.74924 0.02 0.66 -1.36
```
Forces are in eV/Å.

Calculated values
ΔE to the lowest compared entry with this formula, charge and spin   523.9 kJ/mol
Orbital gap (spin up / spin down)   7.484 / 5.057 eV
E_LUMO (spin up / spin down)   3.267 / 3.434 eV
Net charge   -1

Mulliken atomic charge list, values in e, 8 entries:
1. C -0.41
2. C -0.57
3. H 0.43
4. H 0.33
5. H 0.37
6. H 0.15
7. C -0.69
8. Lu 0.99

***

Record 2
Formula: C45H126N4O20
Source: OMol25
Level of theory: wB97M-V/def2-TZVPD

Geometry as XYZ:
```
195
Properties=species:S:1:pos:R:3:forces:R:3
H 0.30955 6.93770 6.34547 -0.17 -0.28 0.10
H 0.74613 7.92163 3.64893 -0.40 0.61 -0.36
O -4.37060 1.62792 -5.37620 0.82 -0.58 -0.27
C -6.55915 2.95480 -2.40623 0.34 -0.08 1.72
H -4.83417 2.23597 -4.79571 -0.34 -0.16 0.22
H -3.65369 7.76231 4.60495 0.01 -0.61 0.06
H 0.01860 8.43210 5.52497 -0.08 0.14 -0.10
H 5.48739 -3.01803 5.34189 0.12 0.05 0.12
C 5.18211 -1.38729 3.99451 1.41 -0.30 -0.64
H 2.51372 -4.61632 -0.27309 0.35 -0.52 0.39
O -2.98302 -4.29641 -0.14480 -0.19 -0.75 -0.91
C 0.12018 -7.26521 -0.34843 -1.40 0.34 -0.54
H 4.27358 -3.80014 2.74838 -0.25 -0.14 -0.46
H 6.32923 0.28873 4.87241 0.24 0.06 -0.51
H -6.98125 1.64777 -3.84028 -0.15 0.06 0.40
H -1.43050 0.59757 4.76423 0.18 0.00 0.32
O -3.88403 -1.75996 0.88449 -0.23 -0.31 0.05
H -3.01514 5.38607 6.08817 -0.22 0.26 -0.53
H 0.14365 -4.65918 -3.98991 0.10 -0.33 -0.25
H -2.19048 -4.40938 0.37993 0.21 0.31 0.42
H 0.11337 0.59812 -7.56071 0.03 -0.12 0.18
H -1.20432 -0.64226 -3.33668 -0.21 0.34 0.03
O 4.73534 -0.67368 -2.21846 0.13 -0.56 -0.60
C 0.58315 7.17794 2.86889 1.19 0.32 1.36
H -1.33840 -0.46647 0.93363 -0.12 0.84 -1.34
C 0.51286 2.24613 -0.89226 -0.38 -0.15 -0.35
H -1.30937 -2.68434 1.83197 0.11 1.00 0.03
H -5.28948 -0.19551 -5.62076 0.47 -0.42 -0.32
H 4.87075 -1.61281 -2.07250 0.18 0.05 0.16
H -2.80890 9.46820 2.97859 -0.60 -0.43 -0.07
H 4.06691 0.90815 -1.11399 -0.16 -0.13 -0.10
H 5.65454 0.32998 -0.70828 -0.02 -0.25 0.51
H 0.89390 5.12357 -0.66170 -0.08 -0.05 0.18
H 1.14734 3.39478 -4.62967 0.18 -0.44 -0.30
C -0.48008 7.64406 6.08926 0.08 0.64 -1.04
H 0.66158 0.46443 0.36361 0.39 0.03 0.15
H -3.27639 -4.56385 -4.92500 -0.26 -0.11 -0.12
H -1.56466 -1.56041 -7.30098 -0.06 -0.59 -0.49
H 3.44583 -7.41565 0.27938 -0.03 0.47 -0.19
O 3.66839 0.32885 4.66175 -0.38 1.88 0.23
C -2.63467 8.12214 4.74715 0.17 -0.02 -1.33
H -3.16092 3.11340 -2.10267 0.08 0.16 -0.11
C 0.69799 0.70536 -0.69880 -0.80 1.14 -0.82
H 3.45351 0.26757 5.59538 0.00 0.95 0.25
C -3.22104 2.10382 0.21503 0.59 -1.07 -0.21
N 3.83977 -0.98682 4.42028 -0.20 -3.33 -0.03
H -1.04712 -2.18106 -1.16132 -0.05 -0.37 0.42
H -7.37842 3.56411 -2.02459 -0.89 -0.50 -0.48
H -1.58833 5.67927 6.96323 -0.05 0.13 0.32
C 2.65057 -1.68997 3.91909 -0.78 -0.64 -1.06
H 1.37703 -1.46313 5.75247 0.24 -0.01 0.06
H 1.64660 0.42597 -1.15724 0.10 -0.26 0.22
C 1.47038 -6.59431 -0.52504 1.11 -0.46 0.50
H -5.50361 -3.49304 -1.87479 -0.37 -0.04 0.49
H 2.10531 -6.12709 -4.71746 0.22 -0.35 -0.55